== What to do ==
Next, filter the listing further below: keep the lines with the word "stick".
== Excerpt ==
<<<
Starting from a DFT-relaxed cell (PBE, Alexandria), the X-ray diffraction stick pattern of RbGeI2O8 was simulated for CuKα.

Lattice parameters (Å, degrees): 11.0685 5.5895 6.8722 90.00 108.64 90.00
Space group C2/m (No. 12)
Asymmetric unit:
Rb: 0.0000 0.0000 0.0000
Ge: 0.0000 0.5000 0.5000
I: 0.2153 0.0000 0.6556
O: 0.0879 0.5000 0.3089
O: 0.1063 0.2526 0.6890
O: 0.1775 0.0000 0.3822

Peak list (12 most intense, 2θ from 10° to 90°, sorted by position)
2θ (°), I (rel.), (hkl)
13.60, 70, 0 0 1
24.22, 100, 1 1 1
24.98, 26, 2 0 1
27.23, 35, 2 0 -2
29.54, 89, 3 1 -1
30.15, 15, 3 1 0
30.54, 25, 1 1 -2
32.02, 38, 0 2 0
46.23, 15, 5 1 0
47.55, 18, 4 2 0
52.67, 16, 5 1 -3
55.55, 15, 3 3 -1

***

Starting from a DFT-relaxed cell (PBE, Alexandria), the X-ray diffraction stick pattern of CuAuCl3 was simulated for CuKα.

Lattice parameters (Å, degrees): 14.0754 3.5285 10.4861 90.00 96.66 90.00
Space group C2/m (No. 12)
Asymmetric unit:
Cu: 0.1470 0.0000 0.4300
Au: 0.0358 0.5000 0.8641
Cl: 0.1087 0.5000 0.2773
Cl: 0.1456 0.0000 0.9469
Cl: 0.1598 0.5000 0.5769

Peak list (12 most intense, 2θ from 10° to 90°, sorted by position)
2θ (°), I (rel.), (hkl)
12.66, 100, 2 0 0
14.42, 50, 2 0 -1
16.07, 84, 2 0 1
20.05, 81, 2 0 -2
26.05, 64, 1 1 0
27.32, 45, 2 0 -3
27.67, 45, 1 1 1
27.85, 46, 4 0 1
31.81, 50, 3 1 0
36.34, 56, 1 1 -3
44.30, 51, 1 1 4
46.39, 41, 5 1 2

***

Starting from a DFT-relaxed cell (PBE, Alexandria), the X-ray diffraction stick pattern of PmErPS was simulated for CuKα.

Lattice parameters (Å, degrees): 3.9970 3.9970 19.7332 90.00 90.00 120.00
Space group R3m (No. 160, hexagonal axes)
Asymmetric unit:
Pm: 0.0000 0.0000 0.0000
Er: 0.0000 0.0000 0.4942
P: 0.0000 0.0000 0.7510
S: 0.0000 0.0000 0.2430

Peak list (12 most intense, 2θ from 10° to 90°, sorted by position)
2θ (°), I (rel.), (hkl)
27.11, 21, 0 0 6
27.30, 62, 0 1 2
31.57, 100, 1 0 4
45.14, 36, 0 1 8
45.38, 36, 1 1 0
53.67, 20, 1 1 6
53.77, 10, 2 0 2
56.33, 19, 0 2 4
65.93, 12, 2 0 8
74.76, 16, 1 1 12
75.12, 16, 2 1 4
83.67, 12, 1 2 8

***

Starting from a DFT-relaxed cell (PBE, Alexandria), the X-ray diffraction stick pattern of Mn3V4Co was simulated for CuKα.

Lattice parameters (Å, degrees): 2.8893 4.0698 8.1104 90.00 90.00 90.00
Space group Pmmm (No. 47)
Asymmetric unit:
Mn: 0.0000 0.0000 0.0000
Mn: 0.0000 0.5000 0.2522
V: 0.5000 0.0000 0.2467
V: 0.5000 0.5000 0.0000
V: 0.5000 0.5000 0.5000
Co: 0.0000 0.0000 0.5000

Peak list (9 most intense, 2θ from 10° to 90°, sorted by position)
2θ (°), I (rel.), (hkl)
31.13, 1, 0 1 2
44.48, 100, 1 1 2
44.69, 20, 0 0 4
64.50, 6, 2 0 0
64.92, 12, 0 2 4
81.76, 6, 2 2 0
81.88, 6, 2 0 4
81.98, 11, 1 3 2
82.22, 11, 1 1 6
>>>
== Reply ==
Starting from a DFT-relaxed cell (PBE, Alexandria), the X-ray diffraction stick pattern of RbGeI2O8 was simulated for CuKα.
Starting from a DFT-relaxed cell (PBE, Alexandria), the X-ray diffraction stick pattern of CuAuCl3 was simulated for CuKα.
Starting from a DFT-relaxed cell (PBE, Alexandria), the X-ray diffraction stick pattern of PmErPS was simulated for CuKα.
Starting from a DFT-relaxed cell (PBE, Alexandria), the X-ray diffraction stick pattern of Mn3V4Co was simulated for CuKα.